Input =
-- begin --
1.
Material: KCrS2
Method: DFT, PBE
State: relaxed

Calculated values
Volume (Å³ per cell): 248
ρ (g cm⁻³): 3.12
Formation energy from raw total energies (eV/atom): -0.936

Structure (CIF):
```
data_KCrS2
_chemical_formula_sum 'K3 Cr3 S6'
_cell_length_a 3.6741
_cell_length_b 3.6741
_cell_length_c 21.2298
_cell_angle_alpha 90.00
_cell_angle_beta 90.00
_cell_angle_gamma 120.00
_space_group_name_H-M_alt 'R -3 m'
_space_group_IT_number 166
_space_group_name_Hall '-R 3 2"'
loop_
_atom_site_label
_atom_site_type_symbol
_atom_site_fract_x
_atom_site_fract_y
_atom_site_fract_z
_atom_site_occupancy
K1 K 0.0000 0.0000 0.0000 1
Cr1 Cr 0.0000 0.0000 0.5000 1
S1 S 0.0000 0.0000 0.2252 1
```

---

2.
Material: Nd6Sn3H
Method: DFT, PBE
State: relaxed

Calculated values
Volume (Å³ per cell): 1308
ρ (g cm⁻³): 6.21
Energy (eV per atom): -4.8006

Structure (CIF):
```
data_Nd6Sn3H
_chemical_formula_sum 'Nd24 Sn12 H4'
_cell_length_a 12.0804
_cell_length_b 14.8851
_cell_length_c 7.2742
_cell_angle_alpha 90.00
_cell_angle_beta 90.00
_cell_angle_gamma 90.00
_space_group_name_H-M_alt 'C m c 21'
_space_group_IT_number 36
_space_group_name_Hall 'C 2c -2'
loop_
_atom_site_label
_atom_site_type_symbol
_atom_site_fract_x
_atom_site_fract_y
_atom_site_fract_z
_atom_site_occupancy
Nd1 Nd 0.0000 0.0429 0.0000 1
Nd2 Nd 0.0000 0.2247 0.4631 1
Nd3 Nd 0.1594 0.4717 0.4646 1
Nd4 Nd 0.1603 0.2590 0.0020 1
Sn1 Sn 0.0000 0.3799 0.7614 1
Sn2 Sn 0.1705 0.1071 0.6843 1
H1 H 0.0000 0.1904 0.1337 1
```

---

3.
Material: Be3AgBi
Method: DFT, PBE
State: relaxed

Calculated values
Energy relative to the lowest polymorph listed for this composition (eV/atom): 0.000
Volume (Å³ per cell): 88
ρ (g cm⁻³): 6.50
Formation energy from the elements (eV per formula unit): 4.02

Structure (CIF):
```
data_Be3AgBi
_chemical_formula_sum 'Be3 Ag1 Bi1'
_cell_length_a 4.4446
_cell_length_b 4.4446
_cell_length_c 4.4446
_cell_angle_alpha 90.00
_cell_angle_beta 90.00
_cell_angle_gamma 90.00
_space_group_name_H-M_alt 'P m -3 m'
_space_group_IT_number 221
_space_group_name_Hall '-P 4 2 3'
loop_
_atom_site_label
_atom_site_type_symbol
_atom_site_fract_x
_atom_site_fract_y
_atom_site_fract_z
_atom_site_occupancy
Be1 Be 0.0000 0.0000 0.5000 1
Ag1 Ag 0.0000 0.0000 0.0000 1
Bi1 Bi 0.5000 0.5000 0.5000 1
```

---

4.
Material: Ca2InPt2
Method: DFT, PBE
State: relaxed

Calculated values
Volume (Å³ per cell): 257
ρ (g cm⁻³): 7.56
Formation energy from the elements (eV per formula unit): -2.56

Structure (CIF):
```
data_Ca2InPt2
_chemical_formula_sum 'Ca4 In2 Pt4'
_cell_length_a 3.7664
_cell_length_b 3.7664
_cell_length_c 18.1152
_cell_angle_alpha 90.00
_cell_angle_beta 90.00
_cell_angle_gamma 90.00
_space_group_name_H-M_alt 'I 4/m m m'
_space_group_IT_number 139
_space_group_name_Hall '-I 4 2'
loop_
_atom_site_label
_atom_site_type_symbol
_atom_site_fract_x
_atom_site_fract_y
_atom_site_fract_z
_atom_site_occupancy
Ca1 Ca 0.0000 0.0000 0.1239 1
In1 In 0.0000 0.0000 0.5000 1
Pt1 Pt 0.0000 0.5000 0.2500 1
```

---

5.
Material: Pm2CrReN6
Method: DFT, PBE
State: relaxed

Calculated values
Volume (Å³ per cell): 129
ρ (g cm⁻³): 7.88
Formation energy from raw total energies (eV/atom): -0.639

Structure (CIF):
```
data_Pm2CrReN6
_chemical_formula_sum 'Pm2 Cr1 Re1 N6'
_cell_length_a 5.3678
_cell_length_b 5.3678
_cell_length_c 4.4792
_cell_angle_alpha 90.00
_cell_angle_beta 90.00
_cell_angle_gamma 90.00
_space_group_name_H-M_alt 'P 4 m m'
_space_group_IT_number 99
_space_group_name_Hall 'P 4 -2'
loop_
_atom_site_label
_atom_site_type_symbol
_atom_site_fract_x
_atom_site_fract_y
_atom_site_fract_z
_atom_site_occupancy
Pm1 Pm 0.0000 0.5000 0.0000 1
Cr1 Cr 0.0000 0.0000 0.5601 1
Re1 Re 0.5000 0.5000 0.5646 1
N1 N 0.0000 0.0000 0.1934 1
N2 N 0.2478 0.2478 0.6719 1
N3 N 0.5000 0.5000 0.1670 1
```

---

6.
Material: Tb5Pm5Sc2
Method: DFT, PBE
State: relaxed

Calculated values
Energy relative to the lowest polymorph listed for this composition (eV/atom): 0.067
Volume (Å³ per cell): 762
ρ (g cm⁻³): 7.02
-- stop --

Assignment =
Copy only the lines further above with the word "data_Nd6Sn3H" in them.

Completed =
data_Nd6Sn3H